Palermo, Sicily (5th of September)
to Cyprus or Haifa (20th of September)
Price: 22100 NOK
Does not include costs for travel, housing and food on land in Cyrpus/Israel. Additional costs could be approx 5-10,000 NOK, we will contact any applicants with the details closer to the time of the journey.
Important: Israel is currently at war. Our peace journey will adhere to the official travel advice from the Norwegian Ministry of Foreign Affairs. If the situation in Israel is not significantly improved by next year, we will sail to Cyprus instead of Haifa.
On the morning of the 5th of September we’ll set sail southwards again, this time in the wake of another famous apostle – Paul, the carrier of the Gospel to the Gentiles.
This journey is a long one and there will be good sailing! We will take in the sights and see the island of Crete and other small Greek islands as we learn the ropes together.
Everyone will have 4 hours duty sailing and 8 hours off duty. Added to that will be a one hour duty to intercede and worship in the prayer room on board.
If we arrive in Cyprus
If our journey takes us to Cyprus, we will arrive at the port of Limassol, on the 17th of September.
Here we will be hosted by a large group of believers from different areas all around the island.
We will bless Israel and pray and intercede for peace over that land. We will lift the incense of worship and praise as a sweet fragrance, seeking the Lord for his favour to rest on the Jewish people.
As we remain there, we will also of course learn about the history of Cyprus and hear how God is at work. We will taste, see and hear of the delights of this jewel of the Mediterranean!
The official program would end on September 20th in Cyprus.
If we arrive in Israel
**Between two parts of the article: crystal structures**
(1)
Computed, not measured: a crystal of NbFe3P6O24 relaxed with PBEsol at the SCAN level of DFT.

Calculated values
Theoretical density ... 3.33 Mg/m³
Formation energy (no corrections) ... -202 kJ/mol of atoms
Density of states at the Fermi level ... 25.91 states/eV/cell

```
data_NbFe3P6O24
_chemical_formula_sum 'Nb3 Fe9 P18 O72'
_space_group_name_H-M_alt 'R 3'
_space_group_IT_number 146
_space_group_name_Hall 'R 3'
_cell_length_a 8.1380
_cell_length_b 8.1380
_cell_length_c 21.6433
_cell_angle_alpha 90.00
_cell_angle_beta 90.00
_cell_angle_gamma 120.00
loop_
_atom_site_label
_atom_site_type_symbol
_atom_site_fract_x
_atom_site_fract_y
_atom_site_fract_z
Nb1 Nb 0.0000 0.0000 0.0000
Fe1 Fe 0.0000 0.0000 0.2785
Fe2 Fe 0.0000 0.0000 0.4887
Fe3 Fe 0.0000 0.0000 0.7873
P1 P 0.0052 0.2912 0.8841
P2 P 0.0181 0.7345 0.3894
O1 O 0.0236 0.1866 0.2237
O2 O 0.0252 0.8251 0.3264
O3 O 0.0785 0.2167 0.5370
O4 O 0.0911 0.2163 0.8347
O5 O 0.1426 0.4675 0.6125
O6 O 0.1473 0.6903 0.7171
O7 O 0.2028 0.7451 0.1071
O8 O 0.2173 0.7697 0.4039
```

---

(2)
Computed, not measured: a crystal of ZrTcSe relaxed with PBEsol at the SCAN level of DFT.

Calculated values
Theoretical density ... 8.10 Mg/m³
Formation energy (no corrections) ... -14 kJ/mol of atoms
Density of states at the Fermi level ... 2.69 states/eV/cell

```
data_ZrTcSe
_chemical_formula_sum 'Zr1 Tc1 Se1'
_space_group_name_H-M_alt 'P 3 m 1'
_space_group_IT_number 156
_space_group_name_Hall 'P 3 -2"'
_cell_length_a 3.3186
_cell_length_b 3.3186
_cell_length_c 5.7636
_cell_angle_alpha 90.00
_cell_angle_beta 90.00
_cell_angle_gamma 120.00
loop_
_atom_site_label
_atom_site_type_symbol
_atom_site_fract_x
_atom_site_fract_y
_atom_site_fract_z
Zr1 Zr 0.0000 0.0000 0.0000
Tc1 Tc 0.6667 0.3333 0.3245
Se1 Se 0.3333 0.6667 0.6491
```

* * * * *

Entry from Alexandria: a geometry-optimized Nd8In2Ni structure (PBE-GGA).

CIF file:
```
data_Nd8In2Ni
_space_group_name_H-M_alt 'P 1'
_space_group_IT_number 1
_space_group_name_Hall 'P 1'
_cell_length_a 5.2201
_cell_length_b 6.9531
_cell_length_c 9.9164
_cell_angle_alpha 103.32
_cell_angle_beta 105.26
_cell_angle_gamma 90.00
loop_
_atom_site_label
_atom_site_type_symbol
_atom_site_fract_x
_atom_site_fract_y
_atom_site_fract_z
Nd1 Nd 0.2096 0.3008 0.4193
Nd2 Nd 0.5908 0.4581 0.1815
Nd3 Nd 0.7904 0.6992 0.5807
Nd4 Nd 0.9861 0.2205 0.9722
Nd5 Nd 0.4092 0.5419 0.8185
Nd6 Nd 0.0139 0.7795 0.0278
Nd7 Nd 0.6452 0.9787 0.2903
Nd8 Nd 0.3548 0.0213 0.7097
Ni1 Ni 0.5000 0.0000 0.0000
In1 In 0.1839 0.7475 0.3678
In2 In 0.8161 0.2525 0.6322
```

**Space-group type**: C2/m
**N(E_F)**: 11.8 states/eV/f.u.
**Final energy**: -51.65 eV/cell
**ΔH_f (0 K)**: -2.25 eV per formula unit

Entry from Alexandria: a geometry-optimized Nd3In8Ni3 structure (PBE-GGA).

CIF file:
```
data_Nd3In8Ni3
_space_group_name_H-M_alt 'P 1'
_space_group_IT_number 1
_space_group_name_Hall 'P 1'
_cell_length_a 4.8420
_cell_length_b 8.8376
_cell_length_c 8.8438
_cell_angle_alpha 62.44
_cell_angle_beta 74.11
Whether we end up in the beautiful old town of Acre, or the lively port of Haifa, we will all take our place on deck or in the rigging as we look towards the Israeli shore. Perhaps we’ll sing “Hevenu shalom Aleichem” (We Come to Greet You in Peace) to our Jewish friends as we enter the port with gratitude.
From Haifa, we will travel by land to our final stop in Jerusalem and deliver our letter of thanksgiving. We will officially give our apology to representatives of Israel on behalf of Norway’s 1000 year Jubilee at Moster. Whilst there, we will celebrate the completion of our trip with a worship and prayer service in the city of Ariel itself!
The official program would end on September 20th in Jerusalem, though of course people will be free to remain longer in the country and take advantage of being in Israel. We at least look forward to celebrating with our Jewish friends as we explore their culture and their nation.
The other Stages of the Journey
Oslo – Moster Return Journey
Jerusalem Journey: We will embark to sail the same route as did King Sigurd Jorsalfare and his 60 ships with 6000 men in AD 1108-1110.